How to set user and group in Docker Compose

docker user root masking their identity maybe?

I have this problem: a client’s DevOps is a Mac user, meaning that their Docker works differently on my Linux machine¹. In this case we talk about user and group.

When I create a file using Docker (or, in my case, Docker Compose, the logic is the same in general), the file is created with root privileges, so I cannot directly edit them unless I chown them.

To avoid this we have to set user and group IDs somewhere. There are multiple solutions to this problem: I’ll name a few.

This is our initial docker-compose.yml:

version: '3'
        image: alpine
        user: "${UID}:${GID}"

I’m told this works out of the box on Mac (I haven’t personally checked), while on Linux, if I run a command, I get a couple of interesting warnings, meaning that the command will be run as root.

For example, let’s print the user’s info. If we open a terminal and run a command we can check we are doing stuff as root (I am going to omit the --rm flag for clarity, but, per the previous post, you may not want to keep the container around when playing with Docker):

$ docker-compose run app id
WARNING: The UID variable is not set. Defaulting to a blank string. 
WARNING: The GID variable is not set. Defaulting to a blank string. 
Creating docker-user-demo_app_run ... done 
uid=0(root) gid=0(root) groups=0(root)
 # other stuff

How can we avoid those warning, and actually set the ownership to my user (which is 1001:1001 on my current machine) while using Docker?

Here are six ways to do it (remember to open a new terminal after each one).

Solution 1: Add variables to the command

This is quick but not ideal:

$ env UID=${UID} GID=${GID} docker-compose run app id
 Creating docker-user-demo_app_run … done
 uid=1001 gid=0(root)

As you can see, user ID is set to my local user_id (1001), while group ID remained the same, because bash sets $GID to empty string (i.e., it’s not set at all).

Solution 2: Variable export

$ export UID=$(id -u)
bash: UID: readonly variable # ignore this, per above
$ export GID=$(id -g)
$ docker-compose run app id
Creating docker-user-demo_app_run … done
 uid=1001 gid=1001

This will work as long as we stay in the current shell. There is margin for some kind of improvement…

Solution 3: Store the variables in the config

To your ~/.bashrc file (works in other shells, of course) append these two lines:

export UID=$(id -u) 
export GID=$(id -g)

Then refresh the file (or open a new terminal):

== Next to the piece, the page also holds crystal structures ==
-- begin --
(1)
Density functional theory data (PBE) for a relaxed NaPa2RuO8 crystal.

Properties
- energy relative to the elements, uncorrected (eV per atom) = -2.19
- E_tot (eV/atom) = -7.9644

POSCAR file:
```
NaPa2RuO8
1.0
5.396 0.000 0.000
-2.698 4.673 0.000
0.000 0.000 6.999
Na Pa Ru O
1 2 1 8
Cartesian
0.000 0.000 0.000
0.000 3.115 2.573
2.698 1.558 4.426
0.000 0.000 3.500
0.000 1.643 4.528
-1.275 3.852 4.528
0.000 3.115 0.716
1.423 0.822 2.471
1.275 3.852 4.528
2.698 1.558 6.283
3.973 0.822 2.471
2.698 3.030 2.471
```



(2)
Density functional theory data (PBE) for a relaxed NaPaSO6 crystal.

Properties
- energy relative to the elements, uncorrected (eV per atom) = -1.86
- E_tot (eV/atom) = -6.8213

POSCAR file:
```
NaPaSO6
1.0
5.081 0.000 0.000
-2.541 4.400 0.000
0.000 0.000 4.562
Na Pa S O
1 1 1 6
Cartesian
0.000 0.000 0.000
2.541 1.467 2.281
0.000 2.934 0.000
-0.767 1.789 0.995
-1.375 2.842 3.567
0.767 1.789 3.567
-0.608 4.170 0.995
1.375 2.842 0.995
0.608 4.170 3.567
```



(3)
Density functional theory data (PBE) for a relaxed Na2PaSO8 crystal.

Properties
- energy relative to the elements, uncorrected (eV per atom) = -1.27
- E_tot (eV/atom) = -5.9316

POSCAR file:
```
Na2PaSO8
1.0
5.162 0.000 0.000
-2.581 4.471 0.000
0.000 0.000 5.870
Na Pa S O
2 1 1 8
Cartesian
0.000 2.981 2.358
2.581 1.490 3.512
0.000 0.000 0.000
0.000 0.000 2.935
0.000 1.323 3.950
-1.435 3.809 3.950
1.146 0.662 1.920
0.000 2.981 0.135
2.581 1.490 5.735
1.435 3.809 3.950
4.016 0.662 1.920
2.581 3.147 1.920
```



(4)
Density functional theory data (PBE) for a relaxed NaPaSO2 crystal.

Properties
- energy relative to the elements, uncorrected (eV per atom) = -2.51
- E_tot (eV/atom) = -7.4839

POSCAR file:
```
NaPaSO2
1.0
-1.885 1.885 6.162
1.885 -1.885 6.162
1.885 1.885 -6.162
Na Pa S O
1 1 1 2
Cartesian
0.000 0.000 0.000
0.000 0.000 3.694
0.000 0.000 8.266
1.885 0.000 4.695
0.000 1.885 4.695
```



(5)
Density functional theory data (PBE) for a relaxed NaPaS2O crystal.

Properties
- energy relative to the elements, uncorrected (eV per atom) = -2.06
- E_tot (eV/atom) = -6.8666

POSCAR file:
```
NaPaS2O
1.0
1.836 -6.658 0.000
1.836 6.658 0.000
0.000 0.000 8.283
Na Pa S O
2 2 4 2
Cartesian
0.000 0.000 0.000
0.000 0.000 4.142
1.836 3.083 6.212
1.836 -3.083 2.071
1.836 2.013 0.529
1.836 2.013 3.613
1.836 -2.013 4.670
1.836 -2.013 7.754
1.836 4.699 2.071
1.836 -4.699 6.212
```



(6)
Density functional theory data (PBE) for a relaxed NaPa2SbO8 crystal.

Properties
- energy relative to the elements, uncorrected (eV per atom) = -2.72
- E_tot (eV/atom) = -8.0641

POSCAR file:
```
NaPa2SbO8
1.0
3.488 -3.500 0.000
3.488 3.500 0.000
0.000 0.000 7.108
Na Pa Sb O
1 2 1 8
Cartesian
0.000 0.000 0.000
3.488 0.000 1.756
3.488 0.000 5.352
0.000 0.000 3.554
1.365 0.000 2.084
1.365 0.000 5.024
3.488 1.429 3.554
3.488 1.247 0.000
3.488 -1.247 0.000
3.488 -1.429 3.554
5.611 0.000 2.084
5.611 0.000 5.024
```



(7)
Density functional theory data (PBE) for a relaxed NaPaSb2O7 crystal.

Properties
-- stop --

$ source ~/.bashrc # or '. ~/.bashrc'
bash: UID: readonly variable

and run the usual command:

$ docker-compose run app id
Creating docker-user-demo_app_run ... done 
uid=1001 gid=1001

It works, but that “readonly variable” will haunt you for the rest of your life. I’d rollback the .bashrc file and refresh the terminal again, and move on to the next…

Solution 4: put the user IDs in the command itself

This is the most straightforward, I guess…

$ docker-compose run -u 1001:1001 app id
 Creating docker-user-demo_app_run … done
 uid=1001 gid=1001

This way you can remove the user: line from the docker-compose.yml file.

The problem is that less Docker-savvy coworkers will need to remember to do this. All. The. Time.

Solution 5: add the variables to the .env file

Let’s create an .env file:


And again:

== Unrelated to this entry: calculated crystals ==
~~~
(1)
MgTlInPb PBE-GGA relaxed; calculated volume = 111.9 Å³ per cell; space group = F-43m; size of the total moment = 0.00 μB/cell; calculated density = 8.2 g/cm³
1.0
5.408 0.000 0.000
2.704 4.684 0.000
2.704 1.561 4.416
Mg Tl In Pb
1 1 1 1
Cartesian
8.112 4.684 3.312 Mg
5.408 3.122 2.208 Tl
2.704 1.561 1.104 In
0.000 0.000 0.000 Pb

***

(2)
MgTlInPb PBE-GGA relaxed; calculated volume = 110.4 Å³ per cell; space group = P4mm; size of the total moment = 0.00 μB/cell; calculated density = 8.3 g/cm³
1.0
3.454 0.000 0.000
0.000 3.454 0.000
0.000 0.000 9.248
Pb Mg In Tl
1 1 1 1
Cartesian
1.727 1.727 7.354 Pb
0.000 0.000 5.230 Mg
1.727 1.727 3.209 In
0.000 0.000 0.712 Tl

***

Going by the computed energies, the most stable comes first: (2), (1).

***

(1)
MgIn2Pd8 PBE-GGA relaxed; calculated volume = 180.0 Å³ per cell; space group = C2/m; size of the total moment = 0.00 μB/cell; calculated density = 10.2 g/cm³
1.0
-0.827 3.407 2.215
-4.760 1.437 -3.987
-2.348 -5.740 4.070
Pd Mg In
8 1 2
Cartesian
-6.256 -0.032 1.596 Pd
-1.679 -0.864 0.702 Pd
-3.675 0.730 -2.494 Pd
-2.210 -2.494 3.011 Pd
-5.725 1.598 -0.713 Pd
-4.260 -1.626 4.792 Pd
-3.096 1.603 0.261 Pd
-4.839 -2.499 2.037 Pd
-0.414 1.704 1.108 Mg
-4.352 -0.837 -0.337 In
-3.583 -0.058 2.635 In

***

(2)
MgIn2Pd8 PBE-GGA relaxed; calculated volume = 188.3 Å³ per cell; space group = Immm; size of the total moment = 0.00 μB/cell; calculated density = 9.7 g/cm³
1.0
3.893 0.000 -1.185
-1.145 6.622 -3.761
0.131 -0.244 7.416
Pd In Mg
8 2 1
Cartesian
-0.296 1.710 -0.971 Pd
0.732 3.685 2.404 Pd
3.174 4.668 3.442 Pd
1.292 0.442 4.246 Pd
1.586 5.937 -1.775 Pd
2.393 5.389 0.875 Pd
0.486 0.990 1.596 Pd
2.147 2.694 0.066 Pd
-0.068 4.341 -0.222 In
2.946 2.038 2.692 In
1.946 0.000 -0.592 Mg

***

Going by the computed energies, the most stable comes first: (1), (2).

***

(1)
Mg8InPd2 PBE-GGA relaxed; calculated volume = 239.1 Å³ per cell; space group = C2/m; size of the total moment = 0.00 μB/cell; calculated density = 3.6 g/cm³
1.0
5.030 -0.075 -0.112
-0.937 7.235 -0.086
-0.937 -2.866 6.644
Mg In Pd
8 1 2
Cartesian
0.362 2.651 3.980 Mg
2.794 1.644 2.467 Mg
0.054 -0.467 2.149 Mg
0.054 2.163 0.397 Mg
3.103 2.132 6.050 Mg
1.578 4.676 1.539 Mg
1.578 -0.381 4.908 Mg
3.103 4.762 4.298 Mg
2.515 -0.037 -0.056 In
-0.937 0.320 4.522 Pd
-0.937 4.050 2.037 Pd

***

(2)
Mg8InPd2 PBE-GGA relaxed; calculated volume = 222.9 Å³ per cell; space group = P1; size of the total moment = 0.00 μB/cell; calculated density = 3.9 g/cm³
1.0
0.222 -4.478 -0.820
6.925 0.541 -1.295
-2.603 0.773 7.817
Mg Pd In
8 2 1
Cartesian
-0.333 -3.838 3.616 Mg
1.956 -0.884 0.718 Mg
2.183 -1.612 4.701 Mg
4.507 -1.064 2.266 Mg
-0.238 -3.294 0.680 Mg
2.312 -3.467 2.231 Mg
4.600 -0.522 -0.673 Mg
-0.504 -1.972 6.058 Mg
0.277 -1.346 2.825 Pd
3.996 -3.013 0.125 Pd
4.187 0.715 5.145 In

***

Going by the computed energies, the most stable comes first: (2), (1).

* * * * *

1.
~~~
== Here the entry continues ==

$ docker-compose run app id
 Creating docker-user-demo_app_run … done
 uid=1001 gid=1001

Between two parts of the piece: records of crystals:
____________
Below is an optimized crystal structure of Mn3FeCu, with properties calculated at the GGA-PBE level.

a b c (Å): 4.284 4.284 4.284
angles (deg): 90.00 90.00 90.00
Each line ends with the local moment (μB).
Atoms (fractional coordinates):
1 Mn 0.000 0.500 0.000  2.91
2 Mn 0.000 0.000 0.500  2.70
3 Mn 0.500 0.000 0.000  2.76
4 Fe 0.000 0.000 0.000  -0.77
5 Cu 0.500 0.500 0.500  0.06

Results
- theoretical density (g/cm3) = 6.0
- relative energy among the computed polymorphs (meV/atom) = 0
____________
Here the piece continues:

Of course we are not versioning the .env file, so we are going to add a .env.example file for our colleagues and add instructions in the README file.

This is ok, but we are melting Docker logic with app logic. One of the client’s app already has a huge .env file, and we may not want to bloat it with additional stuff in cases like this.

Solution 6: use an override

(Of course this is the solution the DevOps actually implemented after noticing Linux developers screaming all over the (virtual) office).

First we remove the user: line from docker-compose.yml, so it matches the following:

version: '3'
        image: alpine

Let’s create a docker-compose.override.yml:

version: '3'  
    user: 1001:1001

And one last time:

$ docker-compose run app id
 Creating docker-user-demo_app_run … done
 uid=1001 gid=1001

We can add an example file (like docker-compose.override.yml.example ) to version control and instruct the user to copy-paste it to the correct path (which will be added to .gitignore ). They will only need to fill the user info once, and the Docker env will stay separated from the app one.

¹ See this for example